My Premature Baby at 41 years young – Part One
Being pregnant at 41 was enough of a shock let alone giving birth prematurely to the tiniest human I had ever seen.
Having A Premature Baby At 32 Weeks
Being pregnant at 41 was enough of a shock let alone giving birth prematurely to the tiniest human I had ever seen.
When my waters hit the kitchen floor it was just gone midnight. It wasn’t really so much of a ‘hit’ but, rather, a bit of an unexciting trickle. Ordinarily I’d have been happy at the sign that my baby’s arrival was imminent, but not this time. I was 32 weeks pregnant and my heart sank as I was about to give birth to a premature baby.
Time For A Cup Of Tea
I stood alone for a while and then made a cup of tea. I knew life was about to get crazy and I needed that quiet time to build my inner strength. It took me 20 minutes to get my head ready for what was about to happen.
Until this point, my third pregnancy had been uneventful except for the fact that it was 12 years since I’d last given birth and this baby was totally unplanned. I was now considered a ‘geriatric mother” (a delightful term for anyone over the age of 35). At 32 weeks pregnant, I still had the ‘glow’, shiny hair and lovely skin and I hadn’t even thought about nesting. There was shopping left to do and I was not in the slightest bit ready or organised to give birth.
Not being ready was merely an inconvenience. It didn’t really matter. What mattered was 32 weeks was way too early. At 32 weeks pregnant your baby is simply not ‘cooked’ enough and this midnight event, in the kitchen, was not good news.
Time To Get This Premature Baby Delivered?
I woke up hubby and the two kids who were, sensibly, fast asleep. We dressed and went straight to hospital. I walked into that hospital a radiant, confident and strong woman and walked out, a week later, a little bit broken.
Attached: data records:
Entry 1:
{
  "formula": "C34H38AgF5N3OSSi",
  "method": "ωB97M-V with the def2-TZVPD basis set",
  "lumo_energy_ev": 2.01,
  "max_force_ev_per_a": 2.45,
  "e_tot_ev": -78694.8481,
  "mol_weight_g_mol": 767.71,
  "charge": -1,
  "e_homo_ha": -0.1573,
  "elements": ["Ag", "C", "C", "C", "C", "C", "C", "C", "C", "N", "C", "C", "C", "C", "N", "C", "C", "C", "C", "C", "C", "C", "C", "H", "H", "H", "H", "H", "H", "H", "H", "H", "H", "H", "H", "H", "H", "H", "H", "H", "H", "H", "H", "H", "H", "H", "H", "C", "Si", "C", "C", "C", "C", "C", "C", "N", "C", "S", "H", "H", "H", "H", "H", "H", "H", "H", "H", "H", "H", "H", "F", "C", "C", "C", "F", "C", "F", "C", "F", "C", "F", "O", "H", "H"],
The hospital staff took great care of me, very quickly, upon our arrival. I had steroid jabs in each thigh quicker than you could utter the words ‘premature baby lungs’, and everything was tinged with urgency. The delivery room was busy with people in white coats and I didn’t really know what was going on. As it transpired, nothing was going on. No labour. No baby.
It stayed that way for the next 4 nights. The policy was to do everything possible to keep the baby in. When the baby’s heartbeat started running way too fast for much too long and my temperature rocketed, that policy soon changed from ‘keep the baby in’ to ‘get the baby out’ and…quickly.
My Premature Baby Had To Be Resuscitated Three Times
The panic started, the room filled up and then we were on the move. Almost immediately, the noise stopped, and the bright lights went out.
I can tell you that I had an anaphylactic shock from one of the intravenous antibiotics used to reduce my temperature. An emergency c-section, under general anaesthetic, ensued in order to save my baby. He was born ‘flat’ and resuscitated three times before being admitted into SCBU (Special Care Baby Unit). I was out of it and missed the whole thing.
I Felt Detached
When I woke up from the anaesthetic, hubby told me we had a beautiful boy and that he was in an incubator just next door. It took me 6 hours to go and see him. I have no idea why, as I felt all over the place. The pain was incredible and I was also exhausted. I drank lots of tea, my very British answer to all personal trauma which also included having to express colostrum for a baby I hadn’t yet met…I felt detached. Also, as a side-note, it’s really hard to express colostrum. You have to do it with your fingers, and it takes ages. No one tells you any of this. It was the first of many new experiences to come my way.
Those feelings of detachment went away quickly but I still didn’t feel that same instant rush of love I did when I delivered (awake and naturally) my other two babies. When I saw him for the first time, I was only allowed to wiggle my fingers through the incubator holes. He was so tiny, and he was wired up to machines. I knew he was mine (because he was really dark, like hubby) but I didn’t feel like he was mine.
Every Premature Baby Deserves A Cape
But then came the moment that changed everything.
Skin-to-skin. A joyous moment of holding and feeling your baby (held like a kangaroo in a pouch) for the first time. It was then that I felt like his mummy, like fighting for him and was overcome with total and immense love. 24 hours after giving birth, I held my premature baby for the first time.
Welcome to the world my tiny, super-survivor baby. You already deserve a cape. Read part two of my story here.